Railroad Industry Releases New Economic Impact Report, Urges Regulatory Restraint

Today, the Association of American Railroads (AAR) released its latest State of the Industry Report, highlighting new research from Towson University’s Regional Economic Studies Institute on the overall economic impact of Class I freight railroads. As Railway Age magazine summarizes, “[S]pending by the seven largest U.S. railroads created $274 billion in economic activity, generated nearly $33 billion in state and federal tax revenues and supported nearly 1.5 million jobs nationally in 2014 alone.”
The health of the American freight rail industry is largely thanks to the successful deregulatory reforms that culminated in the Staggers Rail Act of 1980. As CEI has noted in multiple policy papers and several formal public comment letters to the Surface Transportation Board, the success of the Staggers Act cannot be overstated. The private railroad industry as we know it would simply not be possible without the post-Staggers reforms.
[What comes next are calculated crystals, not part of the page]
********
1.
Computed powder diffractogram of TiV2Te2Se4 for a wavelength of 1.5418 Å, from DFT lattice parameters and positions (GGA-PBE).
No peak broadening, texture or thermal motion is included.

abc: 3.4328 3.4328 21.8534
angles: 90.00 90.00 120.00
Space group P3m1 (No. 156)
Asymmetric unit:
Ti: 0.0000 0.0000 0.0000 [1 per cell]
V: 0.0000 0.0000 0.6402 [1 per cell]
V: 0.6667 0.3333 0.3273 [1 per cell]
Te: 0.6667 0.3333 0.0879 [1 per cell]
Te: 0.6667 0.3333 0.9115 [1 per cell]
Se: 0.0000 0.0000 0.2551 [1 per cell]
Se: 0.0000 0.0000 0.3994 [1 per cell]
Se: 0.6667 0.3333 0.5681 [1 per cell]
Se: 0.6667 0.3333 0.7125 [1 per cell]

The 12 most intense peaks (10° ≤ 2θ ≤ 90°), sorted by position:
- 12.2°, 7.284 Å, rel. 49
- 24.4°, 3.642 Å, rel. 32
- 30.1°, 2.973 Å, rel. 70
- 30.3°, 2.946 Å, rel. 30
- 34.3°, 2.611 Å, rel. 18
- 36.6°, 2.458 Å, rel. 100
- 39.1°, 2.303 Å, rel. 33
- 42.0°, 2.153 Å, rel. 11
- 45.1°, 2.011 Å, rel. 47
- 53.4°, 1.716 Å, rel. 43
- 59.5°, 1.553 Å, rel. 23
- 66.4°, 1.407 Å, rel. 16

=====

2.
Computed powder diffractogram of Tl8Te3Se8 for a wavelength of 1.5418 Å, from DFT lattice parameters and positions (GGA-PBE).
No peak broadening, texture or thermal motion is included.

abc: 7.1669 8.6795 10.9816
angles: 94.20 104.51 91.01
Space group P-1 (No. 2)
Asymmetric unit:
Tl: 0.0301 0.4879 0.1789 [2 per cell]
Tl: 0.2320 0.9973 0.2990 [2 per cell]
Tl: 0.2882 0.6731 0.5472 [2 per cell]
Tl: 0.4051 0.2199 0.0048 [2 per cell]
Te: 0.0000 0.0000 0.0000 [1 per cell]
Te: 0.2573 0.1894 0.6116 [2 per cell]
Se: 0.1528 0.7049 0.0359 [2 per cell]
Se: 0.2560 0.3531 0.3680 [2 per cell]
Se: 0.3165 0.4369 0.7631 [2 per cell]
Se: 0.3759 0.9775 0.7679 [2 per cell]

The 12 most intense peaks (10° ≤ 2θ ≤ 90°), sorted by position:
- 23.8°, 3.733 Å, rel. 37
- 24.4°, 3.645 Å, rel. 26
- 24.9°, 3.572 Å, rel. 99
- 26.5°, 3.366 Å, rel. 47
- 27.0°, 3.308 Å, rel. 39
- 27.6°, 3.226 Å, rel. 100
- 28.7°, 3.106 Å, rel. 26
- 30.2°, 2.960 Å, rel. 35
- 31.4°, 2.849 Å, rel. 26
- 38.3°, 2.350 Å, rel. 30
- 39.4°, 2.289 Å, rel. 24
- 41.5°, 2.176 Å, rel. 26

=====

3.
Computed powder diffractogram of Tl12TeSe5 for a wavelength of 1.5418 Å, from DFT lattice parameters and positions (GGA-PBE).
No peak broadening, texture or thermal motion is included.

abc: 7.7695 13.4781 12.5276
angles: 90.00 101.78 90.00
Space group C2/m (No. 12)
Asymmetric unit:
Tl: 0.1212 0.0000 0.3625 [4 per cell]
Tl: 0.1223 0.3333 0.3659 [8 per cell]
Tl: 0.1955 0.5000 0.1420 [4 per cell]
Tl: 0.2222 0.1755 0.1421 [8 per cell]
Te: 0.0000 0.0000 0.0000 [2 per cell]
Se: 0.0000 0.1656 0.5000 [4 per cell]
Se: 0.0000 0.3334 0.0000 [4 per cell]
Se: 0.0000 0.5000 0.5000 [2 per cell]

The 12 most intense peaks (10° ≤ 2θ ≤ 90°), sorted by position:
- 23.0°, 3.866 Å, rel. 14
- 25.9°, 3.437 Å, rel. 100
- 28.6°, 3.126 Å, rel. 77
- 29.1°, 3.066 Å, rel. 19
- 30.1°, 2.969 Å, rel. 37
- 33.5°, 2.672 Å, rel. 32
- 40.2°, 2.245 Å, rel. 69
- 41.5°, 2.177 Å, rel. 14
- 48.1°, 1.891 Å, rel. 18
- 50.0°, 1.823 Å, rel. 16
********
Unfortunately, some politicians and bureaucrats are seeking to re-regulate the industry at the behest of their shipping industry supporters. These shippers operate through industry umbrella lobbying organizations, most notably the National Industrial Transportation League (NIT League).
Chemical giants represented by the American Chemistry Council and led by Dow Chemical are the loudest critics of deregulation and seek to impose onerous price controls on a large share of railroad traffic. Frank Wilner has a great summary of shippers’ hypocrisy on rail rates in a 2014 issue of Railway Age.
**These materials data were left in the article by mistake:**
-- begin --
(1)
Starting from the PBE geometry in Alexandria, the PXRD pattern of Nd2TcC4 was calculated for Cu Ka.
Neutral-atom scattering factors, no anomalous dispersion.

a = 6.904 Å, b = 6.904 Å, c = 6.904 Å
α = 109.69°, β = 88.15°, γ = 134.06°
Fractional coordinates of all 14 atoms:
Nd 0.151 0.151 0.302
Nd 0.349 0.651 0.999
Nd 0.651 0.349 0.001
Nd 0.849 0.849 0.698
Tc 0.250 0.750 0.500
Tc 0.750 0.250 0.500
C 0.075 0.678 0.754
C 0.124 0.839 0.962
C 0.376 0.339 0.715
C 0.425 0.178 0.603
C 0.575 0.822 0.397
C 0.624 0.661 0.285
C 0.876 0.161 0.038
C 0.925 0.322 0.246

Peak list (6 most intense, 15° ≤ 2θ ≤ 90°, in order of rising 2θ)
| d (Å) | I (rel.) |
| --- | --- |
| 3.317 | 50 |
| 3.048 | 100 |
| 2.560 | 25 |
| 2.471 | 26 |
| 1.825 | 17 |
| 1.640 | 27 |

***

(2)
Starting from the PBE geometry in Alexandria, the PXRD pattern of AcSe2O6 was calculated for Cu Ka.
Neutral-atom scattering factors, no anomalous dispersion.

a = 7.639 Å, b = 7.149 Å, c = 8.819 Å
α = 55.99°, β = 50.88°, γ = 73.13°
Fractional coordinates of all 18 atoms:
Ac 0.000 0.000 0.000
Ac 0.250 0.250 0.250
Se 0.234 0.638 0.736
Se 0.514 0.858 0.016
Se 0.638 0.234 0.392
Se 0.858 0.514 0.612
O 0.076 0.423 0.829
O 0.123 0.878 0.630
O 0.141 0.616 0.982
O 0.268 0.989 0.109
O 0.421 0.578 0.174
O 0.423 0.076 0.672
O 0.578 0.421 0.827
O 0.616 0.141 0.261
O 0.620 0.881 0.127
O 0.878 0.123 0.369
O 0.881 0.620 0.372
O 0.989 0.268 0.634

Peak list (6 most intense, 15° ≤ 2θ ≤ 90°, in order of rising 2θ)
| d (Å) | I (rel.) |
| --- | --- |
| 5.898 | 77 |
| 3.632 | 35 |
| 3.421 | 100 |
| 3.398 | 85 |
| 3.260 | 42 |
| 2.747 | 46 |

***

(3)
Starting from the PBE geometry in Alexandria, the PXRD pattern of EuBr2 was calculated for Cu Ka.
Neutral-atom scattering factors, no anomalous dispersion.

a = 11.619 Å, b = 11.619 Å, c = 7.203 Å
α = 90.00°, β = 90.00°, γ = 90.00°
Fractional coordinates of all 30 atoms:
Eu 0.084 0.605 0.247
Eu 0.105 0.916 0.753
Eu 0.250 0.250 0.156
Eu 0.395 0.584 0.753
Eu 0.416 0.895 0.247
Eu 0.584 0.105 0.753
Eu 0.605 0.416 0.247
Eu 0.750 0.750 0.844
Eu 0.895 0.084 0.247
Eu 0.916 0.395 0.753
Br 0.042 0.351 0.380
Br 0.043 0.161 0.907
Br 0.149 0.042 0.380
Br 0.161 0.457 0.907
Br 0.250 0.750 0.000
Br 0.250 0.750 0.500
Br 0.339 0.043 0.907
Br 0.351 0.458 0.380
Br 0.457 0.339 0.907
Br 0.458 0.149 0.380
Br 0.542 0.851 0.620
Br 0.543 0.661 0.093
Br 0.649 0.542 0.620
Br 0.661 0.957 0.093
Br 0.750 0.250 0.000
Br 0.750 0.250 0.500
Br 0.839 0.543 0.093
Br 0.851 0.958 0.620
Br 0.957 0.839 0.093
Br 0.958 0.649 0.620

Peak list (6 most intense, 15° ≤ 2θ ≤ 90°, in order of rising 2θ)
| d (Å) | I (rel.) |
| --- | --- |
| 4.214 | 100 |
| 3.273 | 47 |
| 2.624 | 70 |
| 2.598 | 59 |
| 2.572 | 78 |
| 2.180 | 58 |

***

(4)
Starting from the PBE geometry in Alexandria, the PXRD pattern of LaNdSbO was calculated for Cu Ka.
Neutral-atom scattering factors, no anomalous dispersion.

a = 14.569 Å, b = 14.569 Å, c = 14.569 Å
α = 16.69°, β = 16.69°, γ = 16.69°
Fractional coordinates of all 8 atoms:
-- stop --
Price controls may be good for their short-run bottom line, but they would deter much-needed investment to rail networks and ultimately disadvantage the very shippers NIT League and others claim to be supporting. Forty years ago, when the railroad industry was near-death after 70 years of crippling regulation, things were so bad that the industry tracked a statistic for what was known as a “standing derailment”—stationary railcars would simply tip over as the dilapidated track bed beneath them collapsed. In the late 1970s, the Federal Railroad Administration adopted this depressing new accident reporting category.
Thankfully, a bipartisan coalition in Congress and the Carter White House recognized that only deregulation could save the railroad industry from extinction. This was also the era of airline and trucking deregulation, two other bipartisan reforms that greatly improved the quality of life of Americans. Standing derailments are now a thing of the past, a reminder of how far the industry has come and what can result from simply allowing markets to work without government intrusion.
More need to understand the critical importance of a healthy freight rail industry and why these re-regulatory proposals pitched in the name of “fairness” will start us down another slippery slope to ruin. If these large shippers and their political allies succeed in reversing economic liberalization in the railroad industry, we will all end up paying the price for their temporary benefit.
## Between two parts of the page: crystal structures
........
(1)
Calculated powder XRD pattern
Compound: Tl2Cd12Hg
Radiation: Cu Kα (λ = 1.5418 Å)
Structure: a PBE-relaxed structure
Kinematic intensities with the Lorentz-polarization factor, no thermal factor.

Peak list (10 most intense, 2θ = 5–70°, low angle first)
- (1 1 4), 26.82°, I = 76
- (2 0 2), 30.78°, I = 94
- (2 0 3), 32.23°, I = 49
- (1 1 6), 32.93°, I = 26
- (2 0 4), 34.19°, I = 100
- (1 1 7), 36.41°, I = 76
- (2 0 6), 39.27°, I = 39
- (2 2 0), 42.30°, I = 84
- (3 1 4), 50.80°, I = 28
- (3 1 8), 59.70°, I = 35

Structure:
abc: 6.0428 6.0428 21.1586
angles: 90.00 90.00 90.00
Positions (direct):
Tl (0.2500, 0.7500, 0.2331)
Tl (0.2500, 0.7500, 0.7669)
Tl (0.7500, 0.2500, 0.2331)
Tl (0.7500, 0.2500, 0.7669)
Cd (0.0018, 0.5018, 0.3991)
Cd (0.0018, 0.9982, 0.6009)
Cd (0.0742, 0.5742, 0.9360)
Cd (0.0742, 0.9258, 0.0640)
Cd (0.2500, 0.2500, 0.1618)
Cd (0.2500, 0.2500, 0.2980)
Cd (0.2500, 0.2500, 0.7020)
Cd (0.2500, 0.2500, 0.8382)
Cd (0.4258, 0.5742, 0.0640)
Cd (0.4258, 0.9258, 0.9360)
Cd (0.4982, 0.5018, 0.6009)
Cd (0.4982, 0.9982, 0.3991)
Cd (0.5018, 0.0018, 0.6009)
Cd (0.5018, 0.4982, 0.3991)
Cd (0.5742, 0.0742, 0.0640)
Cd (0.5742, 0.4258, 0.9360)
Cd (0.7500, 0.7500, 0.1618)
Cd (0.7500, 0.7500, 0.2980)
Cd (0.7500, 0.7500, 0.7020)
Cd (0.7500, 0.7500, 0.8382)
Cd (0.9258, 0.0742, 0.9360)
Cd (0.9258, 0.4258, 0.0640)
Cd (0.9982, 0.0018, 0.3991)
Cd (0.9982, 0.4982, 0.6009)
Hg (0.2500, 0.7500, 0.5000)
Hg (0.7500, 0.2500, 0.5000)

(2)
Calculated powder XRD pattern
Compound: Ag2WCl
Radiation: Cu Kα (λ = 1.5418 Å)
Structure: a PBE-relaxed structure
Kinematic intensities with the Lorentz-polarization factor, no thermal factor.

Peak list (10 most intense, 2θ = 5–70°, low angle first)
- (0 0 1), 10.67°, I = 50
- (0 0 3), 32.39°, I = 4
- (1 0 1), 32.55°, I = 16
- (1 0 2), 37.72°, I = 100
- (0 0 4), 43.66°, I = 16
- (1 1 0), 43.92°, I = 32
- (1 0 3), 45.20°, I = 7
- (1 1 1), 45.33°, I = 7
- (1 1 4), 63.65°, I = 21
- (2 0 0), 63.85°, I = 10

Structure:
abc: 2.9156 2.9156 8.2929
angles: 90.00 90.00 90.00
Positions (direct):
Ag (0.0000, 0.0000, 0.2497)
Ag (0.0000, 0.0000, 0.7503)
W (0.5000, 0.5000, 0.0000)
Cl (0.5000, 0.5000, 0.5000)

(3)
Calculated powder XRD pattern
Compound: Mg2Ru
Radiation: Cu Kα (λ = 1.5418 Å)
Structure: a PBE-relaxed structure
Kinematic intensities with the Lorentz-polarization factor, no thermal factor.

Peak list (10 most intense, 2θ = 5–70°, low angle first)
- (1 0 0), 19.11°, I = 100
- (1 1 0), 27.15°, I = 10
- (1 0 1), 37.11°, I = 36
- (2 0 0), 38.77°, I = 36
- (1 1 1), 42.06°, I = 57
- (2 1 0), 43.57°, I = 23
- (2 1 1), 54.75°, I = 23
- (2 2 0), 55.99°, I = 12
- (0 0 2), 65.74°, I = 5
- (3 0 1), 69.14°, I = 11

Structure:
abc: 4.6454 4.6454 2.8398
angles: 90.00 90.00 90.00
Positions (direct):
Mg (0.0000, 0.5000, 0.0000)
Mg (0.5000, 0.0000, 0.0000)
Ru (0.0000, 0.0000, 0.5000)

=====

Co2SiO4: calculated powder diffraction line list (Cu Kα (λ = 1.5418 Å)), based on a DFT-relaxed cell (PBE+U, the Materials Project).
........
Read AAR’s full June 13 “State of the Industry Report” here and the Towson RESI study here. See also this January 2016 Washington Examiner op-ed coauthored by CEI founder Fred L. Smith, Jr., and myself on the important lessons of railroad deregulation.